Listing:
Record 1
Density functional theory data (PBE) for a relaxed structure of BeV3P.

Unit cell a=4.5653 b=5.5790 c=5.5790 alpha=120.00 beta=90.00 gamma=90.00
With the nearest neighbours (Å) after each atom.
Sites, in units of the cell vectors:
V 0.2500 0.3787 0.1895  2 Be 2.16, 2 V 2.41
V 0.7500 0.6213 0.8105  2 Be 2.16, 2 V 2.41
V 0.2500 0.8106 0.1894  2 Be 2.16, 2 V 2.41
V 0.7500 0.1894 0.8106  2 Be 2.16, 2 V 2.41
V 0.7500 0.1895 0.3787  2 Be 2.16, 2 V 2.41
V 0.2500 0.8105 0.6213  2 Be 2.16, 2 V 2.41
Be 0.0000 0.0000 0.0000  6 V 2.16, 2 Be 2.28
Be 0.5000 0.0000 0.0000  6 V 2.16, 2 Be 2.28
P 0.2500 0.3335 0.6665  12 V 2.67-2.80
P 0.7500 0.6665 0.3335  12 V 2.67-2.80

Calculated values
The total magnetization comes out at 0.00 μB/cell. As for the volume: 12.3 Å³/atom. The value obtained for the total energy is -7.1803 eV/atom. The calculation puts the energy above the most stable polymorph in this dataset at 0.00 eV per formula unit. As for the crystal system: hexagonal. Its calculated formation energy is 57.0 kJ/mol of formula units. The space group is No. 194.

Record 2
Density functional theory data (PBE) for a relaxed structure of KY2Zn.

Unit cell a=3.6270 b=3.6270 c=10.3977 alpha=90.00 beta=90.00 gamma=90.00
With the nearest neighbours (Å) after each atom.
Sites, in units of the cell vectors:
Y 0.0000 0.0000 0.4101  4 Zn 3.06, 1 Y 3.33
Y 0.0000 0.0000 0.0899  4 Zn 3.06, 1 Y 3.33
Zn 0.5000 0.5000 0.2500  8 Y 3.06
K 0.5000 0.5000 0.7500  4 K 3.63

Calculated values
The total magnetization comes out at 0.47 μB/cell. As for the volume: 34.2 Å³/atom. The value obtained for the total energy is -3.7624 eV/atom. As for the crystal system: tetragonal. Its calculated formation energy is 24.1 kJ/mol of formula units. The space group is No. 123.

Record 3
Density functional theory data (PBE) for a relaxed structure of LaPtSI2.

Unit cell a=6.3248 b=5.3389 c=6.3248 alpha=90.00 beta=90.00 gamma=90.00
With the nearest neighbours (Å) after each atom.
Sites, in units of the cell vectors:
Pt 0.0000 0.5000 0.0000  2 La 2.67
I 0.5000 0.0000 0.0000  2 La 3.16
I 0.0000 0.0000 0.5000  2 La 3.16
La 0.0000 0.0000 0.0000  2 Pt 2.67
S 0.5000 0.5000 0.5000  8 I 4.14, 4 Pt 4.47

Calculated values
The total magnetization comes out at 2.47 μB/cell. As for the volume: 42.7 Å³/atom. The value obtained for the total energy is -3.4753 eV/atom. As for the energy relative to the elements, uncorrected: 0.82 eV/f.u. As for the crystal system: tetragonal. The space group is No. 123.

Record 4
Density functional theory data (PBE) for a relaxed structure of Ca3Tl4.

Unit cell a=6.7239 b=8.7078 c=8.7078 alpha=113.62 beta=104.92 gamma=104.92
With the nearest neighbours (Å) after each atom.
Sites, in units of the cell vectors:
Ca 0.8702 0.4135 0.1359  8 Tl 3.32-3.42
Ca 0.5433 0.2776 0.4135  8 Tl 3.32-3.42
Ca 0.4567 0.7224 0.5865  8 Tl 3.32-3.42
Ca 0.7343 0.8641 0.2776  8 Tl 3.32-3.42
Ca 0.1298 0.5865 0.8641  8 Tl 3.32-3.42
Ca 0.2657 0.1359 0.7224  8 Tl 3.32-3.42
Tl 0.9316 0.7010 0.5544  7 Ca 3.32-3.42, 2 Tl 3.52-3.67
Tl 0.7693 0.1466 0.7010  7 Ca 3.32-3.42, 2 Tl 3.52-3.67
Tl 0.0684 0.2990 0.4456  7 Ca 3.32-3.42, 2 Tl 3.52-3.67
Tl 0.5000 0.0000 0.0000  6 Ca 3.32, 2 Tl 3.36
Tl 0.6228 0.5544 0.8534  7 Ca 3.32-3.42, 2 Tl 3.52-3.67
Tl 0.0000 0.0000 0.0000  8 Tl 3.36-3.52, 6 Ca 3.72
Tl 0.3772 0.4456 0.1466  7 Ca 3.32-3.42, 2 Tl 3.52-3.67
Tl 0.2307 0.8534 0.2990  7 Ca 3.32-3.42, 2 Tl 3.52-3.67

Calculated values
The total magnetization comes out at 0.00 μB/cell. As for the volume: 29.4 Å³/atom. The value obtained for the total energy is -2.5838 eV/atom. The calculation puts the energy above the most stable polymorph in this dataset at 0.00 eV per formula unit. As for the crystal system: trigonal. Its calculated formation energy is -252.5 kJ/mol of formula units. The space group is No. 148.

~~~~~

DFT (GGA-PBE) results for crystalline CaZrOs4 at its relaxed geometry.
To do:
It remains to reproduce the listing earlier on word for word.
Done:
Record 1
Density functional theory data (PBE) for a relaxed structure of BeV3P.

Unit cell a=4.5653 b=5.5790 c=5.5790 alpha=120.00 beta=90.00 gamma=90.00
With the nearest neighbours (Å) after each atom.
Sites, in units of the cell vectors:
V 0.2500 0.3787 0.1895  2 Be 2.16, 2 V 2.41
V 0.7500 0.6213 0.8105  2 Be 2.16, 2 V 2.41
V 0.2500 0.8106 0.1894  2 Be 2.16, 2 V 2.41
V 0.7500 0.1894 0.8106  2 Be 2.16, 2 V 2.41
V 0.7500 0.1895 0.3787  2 Be 2.16, 2 V 2.41
V 0.2500 0.8105 0.6213  2 Be 2.16, 2 V 2.41
Be 0.0000 0.0000 0.0000  6 V 2.16, 2 Be 2.28
Be 0.5000 0.0000 0.0000  6 V 2.16, 2 Be 2.28
P 0.2500 0.3335 0.6665  12 V 2.67-2.80
P 0.7500 0.6665 0.3335  12 V 2.67-2.80

Calculated values
The total magnetization comes out at 0.00 μB/cell. As for the volume: 12.3 Å³/atom. The value obtained for the total energy is -7.1803 eV/atom. The calculation puts the energy above the most stable polymorph in this dataset at 0.00 eV per formula unit. As for the crystal system: hexagonal. Its calculated formation energy is 57.0 kJ/mol of formula units. The space group is No. 194.

Record 2
Density functional theory data (PBE) for a relaxed structure of KY2Zn.

Unit cell a=3.6270 b=3.6270 c=10.3977 alpha=90.00 beta=90.00 gamma=90.00
With the nearest neighbours (Å) after each atom.
Sites, in units of the cell vectors:
Y 0.0000 0.0000 0.4101  4 Zn 3.06, 1 Y 3.33
Y 0.0000 0.0000 0.0899  4 Zn 3.06, 1 Y 3.33
Zn 0.5000 0.5000 0.2500  8 Y 3.06
K 0.5000 0.5000 0.7500  4 K 3.63

Calculated values
The total magnetization comes out at 0.47 μB/cell. As for the volume: 34.2 Å³/atom. The value obtained for the total energy is -3.7624 eV/atom. As for the crystal system: tetragonal. Its calculated formation energy is 24.1 kJ/mol of formula units. The space group is No. 123.

Record 3
Density functional theory data (PBE) for a relaxed structure of LaPtSI2.

Unit cell a=6.3248 b=5.3389 c=6.3248 alpha=90.00 beta=90.00 gamma=90.00
With the nearest neighbours (Å) after each atom.
Sites, in units of the cell vectors:
Pt 0.0000 0.5000 0.0000  2 La 2.67
I 0.5000 0.0000 0.0000  2 La 3.16
I 0.0000 0.0000 0.5000  2 La 3.16
La 0.0000 0.0000 0.0000  2 Pt 2.67
S 0.5000 0.5000 0.5000  8 I 4.14, 4 Pt 4.47

Calculated values
The total magnetization comes out at 2.47 μB/cell. As for the volume: 42.7 Å³/atom. The value obtained for the total energy is -3.4753 eV/atom. As for the energy relative to the elements, uncorrected: 0.82 eV/f.u. As for the crystal system: tetragonal. The space group is No. 123.

Record 4
Density functional theory data (PBE) for a relaxed structure of Ca3Tl4.

Unit cell a=6.7239 b=8.7078 c=8.7078 alpha=113.62 beta=104.92 gamma=104.92
With the nearest neighbours (Å) after each atom.
Sites, in units of the cell vectors:
Ca 0.8702 0.4135 0.1359  8 Tl 3.32-3.42
Ca 0.5433 0.2776 0.4135  8 Tl 3.32-3.42
Ca 0.4567 0.7224 0.5865  8 Tl 3.32-3.42
Ca 0.7343 0.8641 0.2776  8 Tl 3.32-3.42
Ca 0.1298 0.5865 0.8641  8 Tl 3.32-3.42
Ca 0.2657 0.1359 0.7224  8 Tl 3.32-3.42
Tl 0.9316 0.7010 0.5544  7 Ca 3.32-3.42, 2 Tl 3.52-3.67
Tl 0.7693 0.1466 0.7010  7 Ca 3.32-3.42, 2 Tl 3.52-3.67
Tl 0.0684 0.2990 0.4456  7 Ca 3.32-3.42, 2 Tl 3.52-3.67
Tl 0.5000 0.0000 0.0000  6 Ca 3.32, 2 Tl 3.36
Tl 0.6228 0.5544 0.8534  7 Ca 3.32-3.42, 2 Tl 3.52-3.67
Tl 0.0000 0.0000 0.0000  8 Tl 3.36-3.52, 6 Ca 3.72
Tl 0.3772 0.4456 0.1466  7 Ca 3.32-3.42, 2 Tl 3.52-3.67
Tl 0.2307 0.8534 0.2990  7 Ca 3.32-3.42, 2 Tl 3.52-3.67

Calculated values
The total magnetization comes out at 0.00 μB/cell. As for the volume: 29.4 Å³/atom. The value obtained for the total energy is -2.5838 eV/atom. The calculation puts the energy above the most stable polymorph in this dataset at 0.00 eV per formula unit. As for the crystal system: trigonal. Its calculated formation energy is -252.5 kJ/mol of formula units. The space group is No. 148.

~~~~~

DFT (GGA-PBE) results for crystalline CaZrOs4 at its relaxed geometry.